Sunday, February 02, 2014

John Peter Thompson Interview - Ornamental Invasives - Nursery Management

 We spoke with John Peter Thompson of the National Invasive Species Council Advisory Committee (ISAC) about stalwart ornamental plants you may be growing that have invasive characteristics. Part one of a series. This podcast focuses on problem plants east of the Mississippi, excluding Florida.

Saturday, February 01, 2014

USDA APHIS-PPQ species intercept report to Maryland Invasive Species Council (MISC) January 2014

               The Maryland Invasive Species Council (MISC) meets every other month throught the year.  MISC provides leadership concerning invasive species and encourages efforts that prevent the introduction of, and manage the impact of, invasive species on Maryland ecosystems. MISC members include federal, state and local government as well as private industry and non-profit groups.

               USDA APHIS-PPQ Baltimore makes available to MISC members, and therefore the public at-large, information about non-indigenous, and possibly invasive species interceptions. APHIS-PPQ reports regularly to MISC about its efforts to safeguard agriculture and natural resources from the entry, establishment, and spread of animal and plant pests and noxious weeds into the United States of America supporting, thereby, trade and exports of U.S. agricultural products.

               At the January 2014 meeting of MISC, APHIS-PPQ described the following port-of-entry invasive species intercepts.

Adult Dolycoris baccarum: Norfolk (May 2008) ©Tristan Bantock
 The stinkbug [need I say more] Dolycoris baccarum, the Hairy Shieldbug or Sloe Bug, a  species of shield bug of western Mediterranean origin in the family Pentatomidae. was intercepted in a shipment of tiles from Italy. Also know as the berry bug, D. baccarum is a threat to strawberries, artichokoes, potatoes, tobacco, cereals tp name but a few crops.  This pests has not been found in Norfolk since early 2009.

Dolichoderus quadripiunctatus was intercepted at the port of Baltimore for the first time and it was only the second time this species has been intercepted entering the US (first interception: Seattle 2009).

A scale identified by the national specialist as Palmaspis sp. (Asterolecaniidae) was intercepted on Arenga sp. from Jamaica. This is the first time this genus has been intercepted at BWI.

A caterpillar was found in a shipment of Tulip popular from Chile. The caterpillar was identified as Elaphria sp. There are more than 100 species of Elaphria described
however very few of the caterpillars are known. According to Olivares et al. Elaphria bucephalina is the only species known from Chile.

Byctiscus betulae (Linnaeus, 1758)
   Atlas of beetles of Russia
 Photo by K.A. Grebennikov
 Two male and two female Byctiscus betulae (Attelabidae) were found in a shipment of tile from Italy at the Port of Norfolk. This is the first time this species has been found entering the US. This pest is a leaf roller that is reported to feed on Betula sp., Populus tremula and occasionally Salix sp.

What comes next are records of crystals, not part of the entry
Density functional theory data (r2SCAN) for a relaxed La2Al9Rh3 crystal.

abc: 13.1418 7.7300 9.6344
angles: 90.00 90.00 90.00
Last column: nearest neighbours and their distance in Å.
Space group Cmcm (No. 63)
One atom of each set of equivalent atoms:
La1 0.1618 0.1664 0.2500 (multiplicity 8)  11 Al 3.11-3.22, 2 Rh 3.46
Al1 0.0000 0.1342 0.7500 (multiplicity 4)  2 Rh 2.62, 6 Al 2.74-2.78
Al2 0.0000 0.3351 0.0392 (multiplicity 8)  3 Rh 2.61-2.62, 3 Al 2.66-2.74
Al3 0.1026 0.4430 0.7500 (multiplicity 8)  2 Rh 2.61, 4 Al 2.70-2.83
Al4 0.1654 0.1709 0.5728 (multiplicity 16)  3 Rh 2.62-2.64, 4 Al 2.74-2.90
Rh1 0.0000 0.0000 0.0000 (multiplicity 4)  8 Al 2.62-2.64
Rh2 0.1709 0.5000 0.0000 (multiplicity 8)  8 Al 2.61-2.64

Output
V (A^3/atom): 17.48
Total magnetization (μB/atom): 0.0000
Energy (eV/atom): -14.59
Formation energy (eV per atom): -0.84

---

Density functional theory data (r2SCAN) for a relaxed ZnAs2 crystal.

abc: 9.2633 7.6944 8.0239
angles: 90.00 102.50 90.00
Last column: nearest neighbours and their distance in Å.
Space group P2_1/c (No. 14)
One atom of each set of equivalent atoms:
Zn1 0.0818 0.2495 0.3948 (multiplicity 4)  4 As 2.41-2.47
Zn2 0.3891 0.6012 0.2224 (multiplicity 4)  4 As 2.45-2.51
As1 0.0667 0.7446 0.8921 (multiplicity 4)  2 Zn 2.41-2.42, 2 As 2.42-2.43
As2 0.2380 0.5126 0.4325 (multiplicity 4)  2 As 2.43-2.46, 2 Zn 2.47-2.51
As3 0.2434 0.5086 0.9361 (multiplicity 4)  2 As 2.42-2.45, 2 Zn 2.47-2.50
As4 0.3852 0.5755 0.7192 (multiplicity 4)  2 As 2.45-2.46, 2 Zn 2.45-2.49

Output
V (A^3/atom): 23.26
Total magnetization (μB/atom): 0.0000
Energy (eV/atom): -13.00
Formation energy (eV per atom): -0.22

---

Density functional theory data (r2SCAN) for a relaxed CaCeIn2 crystal.

abc: 7.7337 7.7337 7.7337
angles: 90.00 90.00 90.00
Last column: nearest neighbours and their distance in Å.
Space group Fm-3m (No. 225)
One atom of each set of equivalent atoms:
Ca1 0.0000 0.0000 0.0000 (multiplicity 4)  8 In 3.35
Ce1 0.0000 0.0000 0.5000 (multiplicity 4)  8 In 3.35
In1 0.2500 0.2500 0.2500 (multiplicity 8)  4 Ce 3.35, 4 Ca 3.35

Output
V (A^3/atom): 28.91
Total magnetization (μB/atom): 0.2601
Energy (eV/atom): -21.33
Formation energy (eV per atom): -0.57

---

> Among the records above, which one has the highest formation energy?

ZnAs2

---

> The lowest energy belongs to which entry?

CaCeIn2

---

What did the third record say?
Density functional theory data (r2SCAN) for a relaxed CaCeIn2 crystal.

abc: 7.7337 7.7337 7.7337
angles: 90.00 90.00 90.00
Last column: nearest neighbours and their distance in Å.
Space group Fm-3m (No. 225)
One atom of each set of equivalent atoms:
Ca1 0.0000 0.0000 0.0000 (multiplicity 4)  8 In 3.35
Ce1 0.0000 0.0000 0.5000 (multiplicity 4)  8 In 3.35
In1 0.2500 0.2500 0.2500 (multiplicity 8)  4 Ce 3.35, 4 Ca 3.35

Output
V (A^3/atom): 28.91
Total magnetization (μB/atom): 0.2601
Energy (eV/atom): -21.33
Formation energy (eV per atom): -0.57

~~~~~

(1)

The hopper Neophilaenus sp. Aphrophoridae (previously Cercopidae) was intercepted for the first time at the port of Norfolk and only the second time nation wide.

Another stinkbug, Eysarcoris ventralis, was intercepted for the first time in 2 years in the Mid‐Atlantic and only the second time by Norfolk CBP (first Nov. 2008).

Unrelated to this text: materials data =
Record 1
ZrGaCu | the Materials Project database | GGA-PBE | relaxed; crystal system = hexagonal
1.0
4.246 0.000 0.000
-2.123 3.677 0.000
0.000 0.000 6.437
Zr Ga Cu
2 2 2
Cartesian
0.000 0.000 0.000
0.000 0.000 3.218
0.000 2.451 1.609
2.123 1.226 4.827
0.000 2.451 4.827
2.123 1.226 1.609

=====

Record 2
GdCu | the Materials Project database | GGA-PBE | relaxed; crystal system = cubic
1.0
3.506 0.000 0.000
0.000 3.506 0.000
0.000 0.000 3.506
Gd Cu
1 1
Cartesian
0.000 0.000 0.000
1.753 1.753 1.753

=====

Record 3
GdCu6 | the Materials Project database | GGA-PBE | relaxed; crystal system = orthorhombic
1.0
8.027 0.000 0.000
0.000 5.058 0.000
0.000 0.000 9.983
Gd Cu
4 24
Cartesian
1.934 1.264 0.647
2.079 3.793 5.638
5.947 1.264 4.345
6.093 3.793 9.336
0.496 0.036 3.085
0.496 2.493 3.085
0.496 3.793 0.940
0.836 1.264 5.176
1.190 3.793 8.532
1.491 1.264 7.575
2.522 3.793 2.584
2.823 1.264 3.540
3.177 3.793 0.185
3.517 1.264 5.931
3.517 2.565 8.076
3.517 5.022 8.076
4.509 0.036 1.907
4.509 2.493 1.907
4.509 3.793 4.052
4.849 1.264 9.798
5.204 3.793 6.443
5.505 1.264 7.399
6.535 3.793 2.407
6.836 1.264 1.451
7.190 3.793 4.807
7.531 1.264 9.043
7.531 2.565 6.898
7.531 5.022 6.898

=====

Record 4
GdCu5 | the Materials Project database | GGA-PBE | relaxed; crystal system = hexagonal
1.0
5.009 0.000 0.000
-2.505 4.338 0.000
0.000 0.000 4.067
Gd Cu
1 5
Cartesian
0.000 0.000 0.000
-1.252 2.169 2.033
0.000 2.892 0.000
2.505 0.000 2.033
1.252 2.169 2.033
2.505 1.446 0.000

=====

Record 5
GdCu2Ge2 | the Materials Project database | GGA-PBE | relaxed; crystal system = monoclinic
1.0
11.066 0.000 0.000
0.000 4.103 0.000
-1.492 0.000 3.829
Gd Cu Ge
2 4 4
Cartesian
0.000 0.000 0.000
5.533 2.052 0.000
1.615 0.000 2.950
2.426 2.052 0.879
7.959 0.000 0.879
7.148 2.052 2.950
0.433 2.052 2.312
3.608 0.000 1.516
5.966 0.000 2.312
9.142 2.052 1.516

=====

Record 6
Gd3Cu4Ge4 | the Materials Project database | GGA-PBE | relaxed; crystal system = orthorhombic
1.0
-2.132 3.347 7.055
2.132 -3.347 7.055
2.132 3.347 -7.055
Gd Cu Ge
3 4 4
Cartesian
0.000 0.000 0.000
2.132 0.000 5.208
0.000 3.347 1.847
2.132 1.264 -2.382
2.132 1.264 2.382
0.000 2.084 4.673
0.000 2.084 9.437
0.000 0.000 3.053
2.132 2.072 0.000
0.000 1.276 7.055
0.000 0.000 11.057

=====

Record 7
GdCuGe | the Materials Project database | GGA-PBE | relaxed; crystal system = hexagonal
1.0
4.267 0.000 0.000
-2.134 3.696 0.000
0.000 0.000 7.496
Gd Cu Ge
2 2 2
Cartesian
0.000 0.000 0.000
0.000 0.000 3.748
0.000 2.464 1.741
2.134 1.232 5.489
0.000 2.464 5.753
2.134 1.232 2.005

=====

Record 8
Gd3CuGeS7 | the Materials Project database | GGA-PBE | relaxed; crystal system = hexagonal
1.0
9.996 0.000 0.000
-4.998 8.657 0.000
0.000 0.000 5.836
Gd Cu Ge S
6 2 2 14
Cartesian
-2.565 6.693 0.000
0.485 3.089 0.000
2.917 1.125 2.918
2.081 7.532 0.000
4.514 5.568 2.918
7.564 1.964 2.918
0.000 0.000 2.665
0.000 0.000 5.583
0.000 5.771 3.404
4.998 2.886 0.486
-3.243 7.263 2.743
-1.593 4.495 4.332
0.330 2.217 2.743
End of the materials data =

The snail Xerotricha conspurcata was intercepted in the Mid‐Atlantic region 76 times in
2013 (41 Baltimore, 35 Norfolk).